(Input)
<<<
(1)
Theoretical powder diffraction line list of MnCd4S5 for Cu Kα, from DFT lattice parameters and positions (PBE).
Intensities are scaled so that the largest is 100.

Largest 8 diffraction maxima, sorted by position, 2θ = 10–90°:
2theta  I_rel
24.66  65.8
26.44  45.9
28.03  100.0
36.46  31.4
43.41  53.0
47.63  26.6
47.69  25.5
51.54  40.5

Atomic structure:
```
MnCd4S5
1.0
12.7635 -2.0864 0.0000
12.7635 2.0864 0.0000
-2.5532 0.0000 9.5294
Mn Cd S
2 8 10
direct
0.0000 0.0000 0.0000
0.1997 0.1997 0.6010
0.1661 0.1661 0.1691
0.3678 0.3678 0.7713
0.4019 0.4019 0.1964
0.5688 0.5688 0.3672
0.5999 0.5999 0.7968
0.7665 0.7665 0.9625
0.7985 0.7985 0.4010
0.9676 0.9676 0.5704
0.0415 0.0415 0.8046
0.0719 0.0719 0.2169
0.2397 0.2397 0.4040
0.2728 0.2728 0.8157
0.4484 0.4484 0.9937
0.4772 0.4772 0.4288
0.6476 0.6476 0.5944
0.6760 0.6760 0.0280
0.8425 0.8425 0.1928
0.8756 0.8756 0.6280
```

(2)
Theoretical powder diffraction line list of Na3MgTi2P2O10F for Cu Kα, from DFT lattice parameters and positions (PBE).
Intensities are scaled so that the largest is 100.

Largest 8 diffraction maxima, sorted by position, 2θ = 10–90°:
2theta  I_rel
15.88  15.2
17.19  18.2
26.87  26.1
29.25  12.8
32.08  100.0
37.99  12.8
52.45  13.2
53.05  15.1

Atomic structure:
```
Na3MgTi2P2O10F
1.0
6.6268 0.0000 0.0000
-0.1271 6.6453 0.0000
-3.2492 -3.3148 5.1578
Na Mg Ti P O F
3 1 2 2 10 1
direct
0.0000 0.0000 0.0000
0.0130 0.4781 0.0009
0.5416 0.4780 0.0009
0.5253 0.0137 0.0012
0.0586 0.5209 0.5798
0.4794 0.9417 0.4214
0.0304 0.9926 0.5052
0.5257 0.4876 0.4957
0.1161 0.8978 0.3149
0.1212 0.2682 0.6895
0.1281 0.8946 0.6871
0.4203 0.5698 0.6692
0.4322 0.5794 0.3114
0.4416 0.2081 0.3135
0.5983 0.0631 0.7549
0.7515 0.9018 0.3312
0.8016 0.5828 0.6859
0.8443 0.3103 0.2462
0.2948 0.7541 0.0008
```

(3)
Theoretical powder diffraction line list of Tm12Mn5C15 for Cu Kα, from DFT lattice parameters and positions (PBE).
Intensities are scaled so that the largest is 100.

Largest 8 diffraction maxima, sorted by position, 2θ = 10–90°:
2theta  I_rel
26.82  12.0
32.01  100.0
34.70  13.9
36.19  56.8
51.02  14.2
52.11  18.5
60.52  10.8
62.51  15.2

Atomic structure:
```
Tm12Mn5C15
1.0
10.3397 0.0000 0.0000
-5.1698 8.9544 0.0000
0.0000 0.0000 4.9612
Tm Mn C
12 5 15
direct
0.0000 0.4312 0.0000
0.0000 0.7939 0.0000
0.1860 0.7308 0.5000
0.2061 0.2061 0.0000
0.2692 0.4552 0.5000
0.4312 0.0000 0.0000
0.4552 0.2692 0.5000
0.5448 0.8140 0.5000
0.5688 0.5688 0.0000
0.7308 0.1860 0.5000
0.7939 0.0000 0.0000
0.8140 0.5448 0.5000
0.0000 0.1531 0.5000
0.1531 0.0000 0.5000
0.3333 0.6667 0.0000
0.6667 0.3333 0.0000
0.8469 0.8469 0.5000
0.0000 0.3263 0.5000
0.0000 0.4570 0.5000
0.0000 0.7955 0.5000
0.1917 0.7173 0.0000
0.2045 0.2045 0.5000
0.2827 0.4745 0.0000
0.3263 0.0000 0.5000
0.4570 0.0000 0.5000
0.4745 0.2827 0.0000
0.5255 0.8083 0.0000
0.5430 0.5430 0.5000
0.6737 0.6737 0.5000
0.7173 0.1917 0.0000
0.7955 0.0000 0.5000
0.8083 0.5255 0.0000
```

(4)
Theoretical powder diffraction line list of CeP2H2O8 for Cu Kα, from DFT lattice parameters and positions (PBE).
Intensities are scaled so that the largest is 100.

Largest 8 diffraction maxima, sorted by position, 2θ = 10–90°:
2theta  I_rel
11.22  100.0
14.32  54.2
22.55  32.7
25.77  27.5
27.59  28.3
29.41  21.6
29.96  39.4
48.48  26.9

Atomic structure:
```
CeP2H2O8
1.0
6.7224 0.0000 0.0000
0.0000 7.0899 0.0000
0.0000 0.0000 15.7705
Ce P H O
4 8 8 32
direct
0.1342 0.0718 0.2259
0.3658 0.9282 0.7259
0.6342 0.4282 0.7741
0.8658 0.5718 0.2741
0.1113 0.2814 0.4282
0.1686 0.4072 0.7331
0.3314 0.5928 0.2331
0.3887 0.7186 0.9282
0.6113 0.2186 0.5718
0.6686 0.0928 0.2669
0.8314 0.9072 0.7669
0.8887 0.7814 0.0718
0.1173 0.3634 0.6487
0.2098 0.6149 0.9273
0.2902 0.3851 0.4273
0.3827 0.6366 0.1487
0.6173 0.1366 0.3513
0.7098 0.8851 0.0727
0.7902 0.1149 0.5727
0.8827 0.8634 0.8513
0.0240 0.9240 0.7157
0.0486 0.9180 0.1134
0.0591 0.2124 0.5145
0.0960 0.2058 0.9736
0.1365 0.2713 0.0440
0.1426 0.1174 0.3612
0.1896 0.7508 0.2681
0.1969 0.4134 0.2341
>>>
(Wanted)
The reader should count the lines earlier on that contain the word "is" and give the number alone.
(Completed)
4